Assignment >
Your job: repeat the lines underneath from the line with "-1.25149 -1.07490" to the end verbatim.
Listing >
# 1
# C10H21N2Sr

C10H21N2Sr as an isolated structure in a non-equilibrium geometry (ωB97M-V/def2-TZVPD, the OMol25 dataset).

The HOMO energy comes out at -0.92 eV. For the relative energy (zero: lowest compared OMol25 entry of this formula, charge and spin), the calculation gives 20.1 kcal/mol. The calculation puts the LUMO energy at 2.6 eV. As for the net charge: -1. As for the HOMO-LUMO gap: 3.49 eV. The energy comes out at -14518.175 eV.

Last column: natural (NBO) charge in e.
CARTESIAN COORDINATES (ANGSTROEM)
C -1.98225 -4.05739 -1.61819  -1.420
Sr -2.56474 -2.03272 -0.20482  1.593
N -2.26519 -0.97699 -2.57527  -1.120
H -0.32461 -2.48808 0.54499  -0.775
H -2.45557 0.04408 1.29446  -0.044
H -1.88326 -4.88218 -0.91414  0.180
H -1.13417 -4.21216 -2.27653  0.186
H -2.83693 -4.15080 -2.26433  0.140
H -1.25149 -1.07490 -2.78781  0.403
H -2.51184 -0.00381 -2.71227  0.374
H -2.77220 -1.54743 -3.24249  0.359
C 1.88134 0.01166 2.14789  -0.437
N 2.45532 0.65355 0.92911  -0.358
C 3.83662 0.16680 0.65852  -0.408
C 1.52791 0.50529 -0.28464  -0.210
C 0.20048 1.15946 0.02943  -0.255
C 0.28125 2.52119 0.39357  -0.527
C -0.88209 3.17764 0.81693  -0.199
C -2.13242 2.54004 0.80242  -0.437
C -2.26723 1.06787 0.37640  -0.419
C -0.96562 0.46086 -0.00408  -0.434
H 1.60736 -1.02051 1.90030  0.264
H 1.00329 0.57091 2.46571  0.264
H 2.65013 0.03224 2.92681  0.179
H 2.52347 1.65003 1.12541  0.420
H 3.79223 -0.88928 0.37553  0.227
H 4.25860 0.76312 -0.15757  0.212
H 4.43427 0.29762 1.56791  0.202
H 2.07342 1.02261 -1.08947  0.170
H 1.46874 -0.57373 -0.50586  0.248
H 1.21625 3.05969 0.34920  0.142
H -0.81375 4.20170 1.14421  0.178
H -3.01692 3.06149 1.11562  0.163
H -3.15039 0.94210 -0.32695  0.140

Forces on atoms 1 to 6 (eV/Å):
0.342 0.205 0.048
2.248 0.921 0.449
0.598 -0.032 -0.591
-0.117 -0.232 0.499
-0.944 1.988 -0.560
-0.452 -0.415 0.236

---

# 2
# C10H16INO2

One molecule with the formula C10H16INO2 in a non-equilibrium geometry (ωB97M-V/def2-TZVPD, the OMol25 dataset).

The HOMO energy comes out at -9.30 eV. For the relative energy (zero: lowest compared OMol25 entry of this formula, charge and spin), the calculation gives 0.0 kcal/mol. The calculation puts the LUMO energy at 0.2 eV. As for the HOMO-LUMO gap: 9.48 eV. The energy comes out at -24313.378 eV.

Last column: natural (NBO) charge in e.
CARTESIAN COORDINATES (ANGSTROEM)
C 0.66704 0.63928 -1.19974  0.671
C -0.06112 -0.34713 0.85395  0.598
C -0.00505 1.84156 -0.60534  0.027
C -1.09559 0.68784 0.75910  -0.171
C -1.06075 2.48998 -1.48870  -0.666
C 0.84967 2.69471 0.24152  -0.652
C -1.49796 1.36114 2.05250  -0.704
C -0.15347 -3.57233 -0.07246  -0.607
C 1.07915 -3.00923 -0.73571  -0.411
C 1.51934 -1.59425 -0.38741  -0.232
N 0.57719 -0.51852 -0.34964  -0.500
O 1.20016 0.45228 -2.24761  -0.551
O 0.33163 -0.93546 1.84352  -0.590
I -2.78255 -0.18939 -0.15423  0.179
H -0.76289 2.17302 -2.52616  0.250
H -1.07085 3.57407 -1.24715  0.218
H -2.08021 2.16667 -1.20352  0.235
H 0.12654 3.42334 0.74634  0.223
H 1.62083 3.31848 -0.27718  0.246
H 1.35136 1.94697 0.94207  0.228
H -0.66996 0.87107 2.70594  0.259
H -2.51072 1.04255 2.39782  0.238
H -1.44440 2.40196 1.92624  0.219
H -1.06839 -3.00214 -0.18519  0.207
H -0.38028 -4.55957 -0.35010  0.215
H 0.03416 -3.72788 1.11730  0.204
H 1.08664 -3.14232 -1.80614  0.205
H 1.89804 -3.59756 -0.30769  0.208
H 1.98858 -1.73943 0.62534  0.224
H 2.31385 -1.14972 -1.06768  0.228

Forces on atoms 1 to 6 (eV/Å):
-0.596 -2.861 1.257
1.111 -0.274 0.398
-3.169 -2.055 1.029
0.438 1.775 -1.636
0.743 0.152 0.089
0.123 0.328 1.507

---

# 3
# C6H8

One molecule with the formula C6H8 in a non-equilibrium geometry (ωB97M-V/def2-TZVPD, the OMol25 dataset).

The HOMO energy comes out at -8.85 eV. For the relative energy (zero: lowest compared OMol25 entry of this formula, charge and spin), the calculation gives 116.1 kcal/mol. The calculation puts the LUMO energy at -0.4 eV. As for the HOMO-LUMO gap: 8.43 eV. The energy comes out at -6345.749 eV.
Result >
H -1.25149 -1.07490 -2.78781  0.403
H -2.51184 -0.00381 -2.71227  0.374
H -2.77220 -1.54743 -3.24249  0.359
C 1.88134 0.01166 2.14789  -0.437
N 2.45532 0.65355 0.92911  -0.358
C 3.83662 0.16680 0.65852  -0.408
C 1.52791 0.50529 -0.28464  -0.210
C 0.20048 1.15946 0.02943  -0.255
C 0.28125 2.52119 0.39357  -0.527
C -0.88209 3.17764 0.81693  -0.199
C -2.13242 2.54004 0.80242  -0.437
C -2.26723 1.06787 0.37640  -0.419
C -0.96562 0.46086 -0.00408  -0.434
H 1.60736 -1.02051 1.90030  0.264
H 1.00329 0.57091 2.46571  0.264
H 2.65013 0.03224 2.92681  0.179
H 2.52347 1.65003 1.12541  0.420
H 3.79223 -0.88928 0.37553  0.227
H 4.25860 0.76312 -0.15757  0.212
H 4.43427 0.29762 1.56791  0.202
H 2.07342 1.02261 -1.08947  0.170
H 1.46874 -0.57373 -0.50586  0.248
H 1.21625 3.05969 0.34920  0.142
H -0.81375 4.20170 1.14421  0.178
H -3.01692 3.06149 1.11562  0.163
H -3.15039 0.94210 -0.32695  0.140

Forces on atoms 1 to 6 (eV/Å):
0.342 0.205 0.048
2.248 0.921 0.449
0.598 -0.032 -0.591
-0.117 -0.232 0.499
-0.944 1.988 -0.560
-0.452 -0.415 0.236

---

# 2
# C10H16INO2

One molecule with the formula C10H16INO2 in a non-equilibrium geometry (ωB97M-V/def2-TZVPD, the OMol25 dataset).

The HOMO energy comes out at -9.30 eV. For the relative energy (zero: lowest compared OMol25 entry of this formula, charge and spin), the calculation gives 0.0 kcal/mol. The calculation puts the LUMO energy at 0.2 eV. As for the HOMO-LUMO gap: 9.48 eV. The energy comes out at -24313.378 eV.

Last column: natural (NBO) charge in e.
CARTESIAN COORDINATES (ANGSTROEM)
C 0.66704 0.63928 -1.19974  0.671
C -0.06112 -0.34713 0.85395  0.598
C -0.00505 1.84156 -0.60534  0.027
C -1.09559 0.68784 0.75910  -0.171
C -1.06075 2.48998 -1.48870  -0.666
C 0.84967 2.69471 0.24152  -0.652
C -1.49796 1.36114 2.05250  -0.704
C -0.15347 -3.57233 -0.07246  -0.607
C 1.07915 -3.00923 -0.73571  -0.411
C 1.51934 -1.59425 -0.38741  -0.232
N 0.57719 -0.51852 -0.34964  -0.500
O 1.20016 0.45228 -2.24761  -0.551
O 0.33163 -0.93546 1.84352  -0.590
I -2.78255 -0.18939 -0.15423  0.179
H -0.76289 2.17302 -2.52616  0.250
H -1.07085 3.57407 -1.24715  0.218
H -2.08021 2.16667 -1.20352  0.235
H 0.12654 3.42334 0.74634  0.223
H 1.62083 3.31848 -0.27718  0.246
H 1.35136 1.94697 0.94207  0.228
H -0.66996 0.87107 2.70594  0.259
H -2.51072 1.04255 2.39782  0.238
H -1.44440 2.40196 1.92624  0.219
H -1.06839 -3.00214 -0.18519  0.207
H -0.38028 -4.55957 -0.35010  0.215
H 0.03416 -3.72788 1.11730  0.204
H 1.08664 -3.14232 -1.80614  0.205
H 1.89804 -3.59756 -0.30769  0.208
H 1.98858 -1.73943 0.62534  0.224
H 2.31385 -1.14972 -1.06768  0.228

Forces on atoms 1 to 6 (eV/Å):
-0.596 -2.861 1.257
1.111 -0.274 0.398
-3.169 -2.055 1.029
0.438 1.775 -1.636
0.743 0.152 0.089
0.123 0.328 1.507

---

# 3
# C6H8

One molecule with the formula C6H8 in a non-equilibrium geometry (ωB97M-V/def2-TZVPD, the OMol25 dataset).

The HOMO energy comes out at -8.85 eV. For the relative energy (zero: lowest compared OMol25 entry of this formula, charge and spin), the calculation gives 116.1 kcal/mol. The calculation puts the LUMO energy at -0.4 eV. As for the HOMO-LUMO gap: 8.43 eV. The energy comes out at -6345.749 eV.